In Their Own Words
Maya Marshall on “For Dawn Wooten”

I have the good fortune to be free.
To choose.
To have part of my cervix intact,
to change the locks after
I’m attacked.
Somebody offered me a karate class.
I could still (with a little more
of the luck I’ve already enjoyed)
say yes to a man,
to a little sugar.
Nobody has a life without a woman’s blood.
I could still go under and come out whole
enough to make
another whole life—
a child to place against my mother’s bosom—a greatest gift.
Oh, to be free
enough to pick apart a rapist
man-in-charge, or
a god-doctor
with some script for all the reasons
he knows life is his enough to give
or take
like a kiss, or a breath.
Like a wave: to drown, uncover, or cover up.
Reprinted from All the Blood Involved in Love (Haymarket Books, 2022). All rights reserved.
On “For Dawn Wooten”
My book, All the Blood Involved in Love, orbits around the question: Why don’t you parent a little? In its most basic sense, the book is predicated on the right to and the ability to choose. It was written with an attention to threats to those freedoms. And it was published on the day the United States Supreme Court overturned Roe v. Wade.
I wrote "For Dawn Wooten" to reflect on and reckon with still rampant governmental abuses and on how much luck plays into freedom and safety. This is a kind of “there but for the grace of god go I” kind of poem. Dawn Wooten did the right thing and I wanted to acknowledge that I see her trying to protect people from the crimes of patronizing, abusive systems.
== The article is interrupted by materials data ==
<<<
1.
Rb3Pm3VSe8 after structural relaxation. Source: the Alexandria database, functional PBE-GGA.

Lattice parameters (Å, degrees): 8.3579 8.3582 9.5154 116.06 90.00 120.00
Each line ends with the local moment (μB).
Sites, in units of the cell vectors:
1 Se 0.7903 0.5806 0.3174  -0.04
2 Se 0.7342 0.4684 0.7025  -0.01
3 Se 0.7903 0.0270 0.3174  -0.04
4 Se 0.7633 0.9730 0.6826  -0.04
5 Se 0.2097 0.9730 0.6826  -0.04
6 Se 0.2367 0.0270 0.3174  -0.04
7 Se 0.2097 0.4194 0.6826  -0.04
8 Se 0.2658 0.5316 0.2975  -0.01
9 Pm 0.5000 0.5000 0.5000  0.00
10 Pm 0.0000 0.5000 0.5000  0.00
11 Pm 0.5000 0.0000 0.5000  0.01
12 Rb 0.0000 0.0000 0.0000  0.00
13 Rb 0.5000 0.5000 0.0000  0.00
14 Rb 0.0000 0.5000 0.0000  0.00
15 V 0.0000 0.0000 0.5000  1.23

Calculated values
raw total energy = -5.049 eV per atom
symmetry = R-3m
E_form (uncorrected) = -1.44 eV per atom

=====

2.
AcCe5Te6 after structural relaxation. Source: the Alexandria database, functional PBE-GGA.

Lattice parameters (Å, degrees): 7.8575 7.8368 7.8677 60.13 80.39 70.42
Each line ends with the local moment (μB).
Sites, in units of the cell vectors:
1 Ce 0.5000 0.8375 0.3250  0.97
2 Ce 0.0000 0.6673 0.6655  0.98
3 Ce 0.5000 0.1625 0.6750  0.97
4 Ce 0.5000 0.5000 0.0000  0.97
5 Ce 0.0000 0.3327 0.3345  0.98
6 Te 0.2565 0.9141 0.6582  -0.02
7 Te 0.7435 0.0859 0.3418  -0.02
8 Te 0.2565 0.5723 0.3418  -0.02
9 Te 0.7435 0.4277 0.6582  -0.02
10 Te 0.2523 0.2585 0.0000  -0.02
11 Te 0.7477 0.7415 0.0000  -0.02
12 Ac 0.0000 0.0000 0.0000  0.01

Calculated values
raw total energy = -5.763 eV per atom
symmetry = C2/m
E_form (uncorrected) = -1.38 eV per atom

=====

3.
Tb2DyYTm5 after structural relaxation. Source: the Alexandria database, functional PBE-GGA.

Lattice parameters (Å, degrees): 8.7025 8.7025 9.6580 116.78 116.78 90.00
Sites, in units of the cell vectors:
1 Tm 0.6579 0.1579 0.7295
2 Tm 0.0716 0.5716 0.7295
3 Tm 0.9284 0.4284 0.2705
4 Tm 0.0000 0.0000 0.0000
5 Tm 0.4284 0.3421 0.2705
6 Tm 0.5716 0.6579 0.7295
7 Tm 0.3421 0.8421 0.2705
8 Tm 0.1579 0.0716 0.7295
9 Tm 0.5000 0.5000 0.0000
10 Tm 0.8421 0.9284 0.2705
11 Tb 0.1150 0.3850 0.0000
12 Tb 0.6150 0.1150 0.0000
13 Tb 0.3850 0.8850 0.0000
14 Tb 0.8850 0.6150 0.0000
15 Y 0.7500 0.7500 0.5000
16 Y 0.2500 0.2500 0.5000
17 Dy 0.7500 0.2500 0.5000
18 Dy 0.2500 0.7500 0.5000

Calculated values
raw total energy = -4.451 eV per atom
symmetry = I4/mcm
ΔH_f (0 K) = 292 meV per atom

=====

4.
Li2Cd5Ag after structural relaxation. Source: the Alexandria database, functional PBE-GGA.

Lattice parameters (Å, degrees): 4.3905 6.0923 11.8968 90.00 90.00 90.00
Sites, in units of the cell vectors:
1 Cd 0.5000 0.2390 0.3802
2 Cd 0.0000 0.9904 0.2533
3 Cd 0.5000 0.7610 0.6198
4 Cd 0.5000 0.7390 0.1198
5 Cd 0.0000 0.5096 0.7533
6 Cd 0.0000 0.0000 0.0000
7 Cd 0.5000 0.2610 0.8802
8 Cd 0.0000 0.4904 0.2467
9 Cd 0.0000 0.0096 0.7467
10 Cd 0.0000 0.5000 0.5000
11 Li 0.5000 0.2471 0.1251
12 Li 0.5000 0.7529 0.8749
13 Li 0.5000 0.7471 0.3749
14 Li 0.5000 0.2529 0.6251
>>>
Dawn Wooten
blew the whistle about forced hysterectomies in United States detention centers. Violations like these evince a continued assault on poor women of color. The forced sterilization of women detained by border patrol echoes the forced sterilization of Black women like Fannie Lou Hammer. It is a recent example of a long-term systematic misogynistic assault on the bodily autonomy of child-bearing people.
In the world of this poem, the speaker has been violated by an intruder to her home; separately she undergoes a necessary and reparative medical intrusion into her body. As I was writing I needed to reconcile my privilege and my awareness that most people are vulnerable to being patronized by medical professionals, especially in medical facilities in carceral facilities with my understanding that I have the freedom to influence my medical care. I have the freedom to attempt IVF. I had, at the time, the freedom to get an abortion anywhere in my country. The abuse of the detained women and children concretized for me the continued nonexistence of those freedoms for so many in this country. It made me furious and it made me sad. So, I responded.
Each element in this lyric poem constellates around a question at the nexus of choice, bodily autonomy, and responsibility. I’m borrowing Gregory Orr’s definition of the lyric here. For Orr, the lyric “constellates
around a single center—usually an emotional center such as a single dominant feeling . . .image, action, or situation. . . . [T]he shape of a lyric is that of a snowflake or crystal—an intense, almost geometric concentration around a center.” (p. 82, from “Lyric and Narrative” in A Primer for Poets and Readers of Poetry)
My hope is that when readers hear the speaker she dramatizes the larger concern of a person’s right to reproductive justice—the right to maintain personal bodily autonomy, have children, not have children, and parent the children we have in safe and sustainable communities (Sister Song).
We’re in a moment when the crimes of our government and the moral failures of our systems are both seen and ignored. Writing is a way to raise awareness. Awareness should lead to action. For Dawn Wooten, it did. For me it led to writing, which is too a form of action.
The speaker in my poem values being able to choose who enters her body, what exits it. She knows that systems outside of her, people outside of her take liberties and seek to make those choices for her. She knows people in power take advantage and she wants to fight. She knows the power should belong to The People but that often the lives and preferences of the most vulnerable suffer the choice of those in power to “drown, uncover, or cover up” what they do to the poor.
Author photo by Michael Dantzler